It’s not what your say, but how you say it – and how well you listen!
by Jonathan Henschen, CFS and featured in Broker Dealer Journal
November, 2006:
I’ve been in this business a long time and have had the privilege of knowing a lot of people–broker/dealers and others–involved in recruiting. I’m also routinely bombarded with feedback from Advisors about what they like and dislike in broker/dealers (some of which is very revealing about both parties!). The point is, how broker/dealers communicate with Advisors—on the phone or face-to-face–can cement these relationships for years to come—or derail them before they ever leave the station!
We all have quirks and idiosyncrasies when we communicate. These may be family or regional traits, or simply poor speaking and listening habits picked up over the years. But because communicating is of such major importance in our business, its worth paying as much attention to how we say things—and how well we listen–as we do to what we’re saying.
Which Type of Communicator Are You?
With the invaluable help of Joe Richard, President of Wall Street Financial Group, I’ve sketched out the different types of communicators Advisors have told me about: my way of highlighting the verbal faux pas broker/dealers should avoid. In one way or another, most of these involve talking too much or failing to practice active listening skills. And, oh yes, I’ve included one uniquely Midwestern trait that can be profitably adapted to your speech pattern—no matter where you’re from.
Can you spot yourself in any of these?
The Interrupter
If you’re from a large family, as I am, with a gang of people trying to get a word in, you’ve probably had a problem interrupting people when they’re talking to you. It’s inbred, and can pose problems when we’re away from home, since it says you’re only interested in your two-cent’s worth; no one else’s. I confronted this habit in my early years as a broker, and, even now, make a concerted effort to keep my mouth shut and let the other guy (or gal) finish a thought. Of course, this habit is only reinforced whenever I visit my family; so from time to time, I have to redouble my efforts at not being an Interrupter.
The Immediate Responder
Here we have a more “polite” version of the interrupter. Immediate Responders may wait for you to finish what you are saying, but the instant you stop talking, they chime in. Years ago, I had a manager who did that. Instead of listening to what I had to say, I was sure he was already framing his response. Every time we spoke, he was just waiting for me to stop talking so he could start.
The General
People with military and other leadership backgrounds often fall into this category. When broker/dealers speak with authority, and in absolutes, Advisors will often assume the firm is as ridged and inflexible as the president or recruiter sounds. Some Advisors respond well to that, but other start building defensive walls around themselves; if things get bad enough, communication shuts down completely. The solution? It’s simple: “At Ease!”
Next to the article, the page also holds calculated molecules >
+++
Entry 1:
C19H24N4O3 | ωB97M-V with the def2-TZVPD basis set

```
50
C19H24N4O3, DFT ωB97M-V with the def2-TZVPD basis set
C -0.2227 -6.2286 -1.1900
C 0.2481 -4.8664 -1.6268
C -0.4233 -3.7433 -0.8851
N -0.0693 -2.3629 -1.3556
C -0.1640 -1.7852 -2.5983
O -0.4526 -2.3579 -3.7107
N 0.1391 -0.4155 -2.5476
C -0.1144 0.6584 -3.5910
C 0.9548 0.6477 -4.7352
C -1.5832 0.6125 -4.1007
C 0.4433 -0.1796 -1.1382
C 0.5619 1.0265 -0.5356
C 0.8392 1.0397 0.7794
C 1.1204 2.2979 1.4351
O 2.1401 2.8611 1.0845
C 0.4719 2.7601 2.6282
C -0.8606 2.4321 3.2377
C -1.8990 1.5077 2.6358
N -1.0731 3.1785 4.2331
N 0.1018 3.7645 4.5127
C 0.0524 4.7254 5.6605
C 0.9965 3.5350 3.5995
O 2.2684 3.9239 3.4945
C 0.8193 -0.1537 1.5494
C 0.5406 -1.3590 0.9676
C 0.2624 -1.3396 -0.3798
H 0.4363 -7.0378 -1.5794
H -1.1968 -6.5248 -1.6363
H -0.2178 -6.2874 -0.1091
H 1.2675 -4.7754 -1.5122
H 0.0084 -4.7856 -2.7181
H -0.0581 -3.8637 0.1748
H -1.4630 -3.8718 -0.9673
H -0.0399 1.5734 -3.0438
H 1.9922 0.6495 -4.2742
H 0.7678 1.5382 -5.3692
H 0.8341 -0.3016 -5.1782
H -1.6698 1.4167 -4.7976
H -1.7004 -0.3047 -4.6336
H -2.2555 0.6577 -3.1921
H 0.3561 1.9370 -1.0780
H -2.1204 0.7515 3.3231
H -2.8893 2.0426 2.4268
H -1.4505 0.8976 1.7772
H -0.6249 4.4517 6.4696
H -0.2738 5.7036 5.3571
H 1.0693 4.7175 6.0655
H 2.6576 3.4988 2.7298
H 0.9376 -0.0749 2.6438
H 0.5358 -2.1875 1.6978
```

Output
**E_tot**: -32194.165 eV
**SMILES string**: CCCn1c(=O)n(C(C)C)c2cc(C(=O)c3c(C)nn(C)c3O)ccc21
**Charge**: 0
**Energy relative to the best compared isomer or geometry (same formula, charge and spin)**: 390.8 kJ/mol

---

Entry 2:
C19H24N4O3 | ωB97M-V with the def2-TZVPD basis set

```
50
C19H24N4O3, DFT ωB97M-V with the def2-TZVPD basis set
C -3.4978 -2.8829 2.5207
C -2.1788 -2.2726 2.6535
C -1.1006 -1.7536 2.7325
C 0.1781 -1.0471 2.7209
C 0.1116 0.1982 1.8193
N -0.4188 -0.1024 0.5040
C -1.7725 -0.0152 0.2884
O -2.5150 0.7143 0.9231
C -2.2637 -0.8604 -0.8100
N -1.4651 -1.7104 -1.5200
C -2.2364 -2.3241 -2.3760
N -3.5369 -1.9097 -2.2581
C -4.6680 -2.2931 -2.9444
C -5.8503 -1.7332 -2.6226
C -5.9299 -0.7522 -1.5820
C -4.8188 -0.3705 -0.9065
C -3.5720 -0.9608 -1.2449
C 1.4731 0.8866 1.7671
O 2.2235 0.8652 2.7299
N 1.7522 1.5356 0.6193
C 3.0123 2.2291 0.4151
C 2.7595 3.4153 -0.4949
O 2.2841 2.9138 -1.7421
C 4.0808 1.2680 -0.1084
C 5.4656 1.8887 -0.2431
C 6.5209 0.8515 -0.6073
H -4.1793 -2.1933 2.0193
H -3.4456 -3.7994 1.9321
H -3.9196 -3.1281 3.4955
H 0.4742 -0.7354 3.7214
H 0.9677 -1.7127 2.3596
H -0.5846 0.9121 2.2658
H 0.0143 -0.8699 0.0043
H -1.9342 -3.0656 -3.0971
H -4.5324 -3.0375 -3.7149
H -6.7371 -2.0346 -3.1606
H -6.8895 -0.3166 -1.3405
H -4.8310 0.3652 -0.1162
H 1.1181 1.4430 -0.1590
H 3.3278 2.6090 1.3897
H 2.0124 4.0666 -0.0311
H 3.6830 3.9851 -0.6295
H 1.9759 3.6480 -2.2794
H 4.1280 0.4300 0.5923
H 3.7556 0.8677 -1.0725
H 5.4522 2.6708 -1.0069
H 5.7385 2.3755 0.6988
H 7.5082 1.3026 -0.7113
H 6.5850 0.0767 0.1589
H 6.2751 0.3629 -1.5523
```

Output
**E_tot**: -32195.323 eV
+++
The Non-stop Talker
We all know people in responsible positions who’ll talk your ear off, never letting anyone else get a word in (unlike Interrupters, these folks may not realize what they’re doing, because no one ever told them!). After a while you get the feeling they’re so enamored with the sound of their own voices, it doesn’t matter who’s at the other end of the conversation. Here’s bit of advice for Non-Stop-Talkers out there: God gave us two ears and one mouth because He wants us to listen twice as much as we talk. If you’re a recruiter who invariably dominates conversations, take that advice, because this is one of the worst communication habits you could possibly have. The thing is: Conversation is NOT waiting for the other person to stop talking!
Active Listening Checklist for Broker/Dealers
Here are some active-listening tips you can put to the test when recruiting Advisors by phone or face-to-face:
Let the Advisor Speak First:
- Cue your staff that you’re not to be interrupted by phone calls or visitors.
- Shake hands firmly, and make eye contact.
- Put the Advisor at ease with a few minutes of low-key friendly talk about common interests (family, sports, the weather…anything but politics).
- Let the Advisor know your phone calls and visitors are being held, and that this time is “all ours.”
[Misplaced records of molecules]
____________
This record from the Open Molecules 2025 dataset describes C36H73F2N3O16S as an isolated structure. The level of theory is the ωB97M-V functional and the def2-TZVPD basis.

Summary:
Lowest unoccupied orbital energy = -1.03 eV
Calculated total energy = -3381.20533 Eh
Frontier orbital gap = 0.297 Eh

Geometry (Å):
O 7.37 -0.30 -9.34
C 6.72 -0.67 -8.43
F 6.18 0.16 -7.54
N 6.46 -2.05 -8.16
C 5.19 -2.43 -8.66
O 4.27 -1.73 -8.90
F 5.16 -3.76 -8.83
C 6.63 -2.52 -6.78
C 7.50 -3.65 -6.63
C 7.73 -4.21 -5.42
C 7.10 -3.64 -4.29
N 7.20 -4.03 -3.02
S 6.28 -3.06 -2.16
N 5.70 -2.09 -3.29
C 6.24 -2.52 -4.45
C 5.99 -1.96 -5.72
H 7.97 -4.06 -7.50
H 8.38 -5.06 -5.31
H 5.32 -1.12 -5.84
C 6.40 3.08 1.28
O 7.31 2.77 0.24
C 7.70 1.41 0.21
C 6.86 0.58 -0.74
O 5.50 0.52 -0.37
C 4.67 1.47 -1.04
H 5.91 4.02 1.02
H 5.65 2.30 1.39
H 6.93 3.21 2.23
H 7.66 0.99 1.22
H 8.74 1.38 -0.13
H 7.23 -0.45 -0.71
H 6.96 0.94 -1.77
H 4.39 1.10 -2.03
H 5.17 2.43 -1.14
H 3.77 1.60 -0.44
C -1.39 -0.76 -0.66
O -1.00 -0.71 0.71
C 0.39 -0.84 0.91
C 1.10 0.49 1.05
O 1.02 1.29 -0.11
C -0.05 2.23 -0.08
H -2.38 -0.31 -0.74
H -0.70 -0.21 -1.30
H -1.46 -1.80 -1.00
H 0.84 -1.43 0.10
H 0.53 -1.40 1.84
H 2.17 0.29 1.22
H 0.72 1.03 1.92
H 0.25 3.12 0.49
H -0.94 1.81 0.38
H -0.26 2.52 -1.10
C -1.01 1.92 4.19
O -1.57 2.79 3.21
C -2.97 2.96 3.35
C -3.35 4.20 4.13
O -2.89 4.17 5.47
C -1.65 4.84 5.67
H 0.06 2.13 4.24
H -1.45 2.08 5.17
H -1.16 0.87 3.89
H -3.42 2.07 3.80
H -3.38 3.06 2.34
H -4.44 4.26 4.17
H -2.98 5.10 3.62
H -1.81 5.92 5.76
H -0.96 4.65 4.85
H -1.22 4.46 6.59
C -5.77 -3.91 -4.87
O -5.10 -4.91 -4.11
C -3.72 -4.65 -3.92
C -3.41 -3.97 -2.60
O -4.01 -2.69 -2.48
C -5.25 -2.70 -1.81
H -6.83 -4.00 -4.67
H -5.44 -2.91 -4.61
H -5.61 -4.07 -5.94
H -3.33 -4.05 -4.75
H -3.21 -5.62 -3.93
H -2.33 -3.83 -2.54
H -3.72 -4.61 -1.77
H -5.10 -2.70 -0.72
H -5.86 -3.56 -2.09
H -5.78 -1.78 -2.08
C 6.31 2.06 7.26
O 5.20 1.28 6.84
C 4.61 1.75 5.64
C 5.11 1.02 4.40
O 6.49 1.19 4.17
C 7.30 0.15 4.69
H 6.89 1.45 7.95
H 6.95 2.35 6.42
H 5.97 2.96 7.79
H 4.76 2.82 5.53
H 3.53 1.57 5.72
H 4.58 1.43 3.53
H 4.87 -0.05 4.47
H 7.31 -0.70 4.01
H 6.95 -0.18 5.67
H 8.31 0.54 4.79
C -7.47 -2.11 -8.67
O -7.80 -3.27 -7.94
C -9.16 -3.66 -8.08
C -9.36 -4.72 -9.14
O -9.01 -4.29 -10.44
C -7.69 -4.65 -10.83
H -6.38 -2.10 -8.79
H -7.93 -2.10 -9.65
H -7.77 -1.21 -8.12
H -9.78 -2.79 -8.29
H -9.47 -4.08 -7.12
H -10.43 -4.98 -9.17
H -8.81 -5.63 -8.88
H -7.66 -5.68 -11.19
H -6.98 -4.54 -10.00
H -7.39 -3.99 -11.64
C -5.14 3.95 8.05
O -5.34 4.88 9.10
C -6.07 4.36 10.19
C -5.19 3.85 11.32
O -4.37 2.76 10.93
C -3.07 3.15 10.52
H -4.30 4.29 7.45
H -4.93 2.95 8.43
H -6.03 3.90 7.41
H -6.75 3.57 9.86
H -6.68 5.18 10.59
H -5.84 3.48 12.12
H -4.58 4.66 11.72
H -2.42 3.30 11.40
H -3.08 4.06 9.93
H -2.66 2.34 9.92



This record from the Open Molecules 2025 dataset describes C42H42BrIrN2O7S as an isolated structure in a non-equilibrium geometry. The level of theory is the ωB97M-V functional and the def2-TZVPD basis.

Summary:
____________
[The records of molecules stop here]
- Let the Advisor talk first. Ask if he or she would object to your taking notes about what is being said.
- Mind your body language. Lean forward, nod when appropriate; make confirming statements and gestures.
- Demonstrate your interest in what the Advisor is saying by asking confirming follow-up questions or making confirming comments.
When it’s Your Turn:
- Tell the Advisor about your firm, its history, distinctions, requirements and benefits; but don’t over do it.
- Ask the Advisor, “What are your questions?”
- Ask about what you’ve heard the Advisor tell you, as well as about the things you need to know.
- Ask if there is anything else you need to discuss with the Advisor, or if there are any further questions.
- Wrap up these meetings by thanking Advisors for their time and interest, and wishing them the very best, no matter what decision is made.
The “It’s-All-About-Me” Type
Occasional feedback from Advisors who’ve visited the heads of broker/dealers tell me that some of these people fall into this category. Apparently, so desperate are “It’s-All-About-Me” types to impress Advisors, the conversation never gets around to the Advisor’s needs. Instead, the President launches into his story, background and designations. Then it’s right on to the firm’s history, prestige and numerous accomplishments. Trust me: this is not an attractive trait.
The Closet Economist
Recruiters who used to be brokers sometimes fall into this camp. It may be insecurity that drives them to insist Advisors understand the full depth of their knowledge–or simply because these people are closet economists–but they drone on and on about markets, where they think the economy is headed, and what investment styles they prefer, and why. I’ve found it best to keep this kind of self-serving blather to a minimum and most of the Advisors I consult with agree.
The Sniffers, Yawners and Gum-Smackers
You wouldn’t think I’d have to bring this up, but I’m treated to incidents of gross personal behavior on a regular basis–at all levels and in every imaginable context, but mostly over the phone. Not only are sniffs and yawns common, but so is slurping coffee and other liquids. For the listener, this is communication at its worst.
The Multi-Taskers
“While we chat, you won’t mind if I take a phone call or two…send a fax…type notes into my contact manager… give some instructions to the staff…or flip through some of these papers. Would you?” Of course people mind! When you’re on the phone or meeting with Advisors in your office, stick to two things and two things only: Talking and listening!
The Slick Go-Getter
Advisors complain about this one all the time. Even though we’re all in sales in one way or another, Advisors have an aversion to Gung-ho, “We-Can-Do-It-All” sales types; they don’t trust them, and this can shut down a red-hot recruiting effort cold. “We-can-do-it-all” may sound good, but Advisors need boundaries. Being accommodatingly flexible is a positive message to convey–up to a point. But if Advisors start thinking your firm is a tad too accommodating, they’ll begin wondering if you and your firm aren’t a compliance problem just waiting to happen.
Pregnant Pausers
Here’s that good Midwestern communication habit mentioned earlier that you should try incorporating into your speaking style; but do it sparingly. A good example of a Pregnant Pauser is veteran Chicago radio personality, Paul Harvey, who is said to have delivered more pregnant pauses than a rhetorical obstetrician. Drawing out your thoughts lets people know you’re thinking through what they’ve just said because you value their point of view.
I’ve heard two guys in our industry—both Midwesterners, originally—make very effective use of the Pregnant Pause (intentionally or otherwise). They are Tim O’Rourke, head of recruiting for FSC Securities, and Jeff Auld, President of NEXT Financial Group. Both men lead by example, and have a knack for addressing Advisors in a language that they clearly understand, never speaking down to them or attempting to Wow them with their positions and success.
In speaking with an Advisor who ended up going with Jeff Auld’s NEXT Financial, the man spoke highly of Jeff’s interviewing style. Jeff had spent time talking about the firm, but didn’t go overboard. The Advisor is from the Northeast, where conversation is fast and furious, so while he confessed that some of those “pauses” made him feel like ripping the words out of Jeff’s mouth, all in all, he could tell Jeff respected him and was actively listening to him. In the end, the Advisor was flattered Jeff spent so much quality time with him.
Want to Stand Out in the Crowd?
In financial services, a lot more finesse is required of us than simply being understood. It means coming across as a knowledgeable, positive, level-headed professional, and being as interested as you are interesting. For starters, avoiding the communication faux pas described in this article–and being an active listener–will help you profitably stand out in the crowd.